Andy Chambers wrote:
I got the js-escape working better last night and went on to try and fill out the apropos demo but ran into some difficulties.
I may need to rethink the macrology because when I put the following into the web-apropos model, I just got a list of progvs.
(mk-div () (mk-ul () (loop for func in (apropos-list "prog") collect (mk-li () (mk-text func)))))
Don't feel bad, that is frequent "gotcha" even for loop veterans (and it is loop, not macrology, slowing you down (somewhat abbreviated): (loop for x in (apropos-list "prog") collect (let ((x x)) ;; shadow the "x" abused by loop (mk-text x)))
Also, only changes to attributes are getting propagated to the updates slot, not changes to kids.
Hey, just send me the latest code and I'll figure it out. If you do not have aserve working, we can probably figure it out with a test harness that writes updates to the console. I would make a top-level class: (defmd xh-driver () search-string (exported-only ...other input slots and really any slot you need to make this go... (xml (driven-xml))) (defun driven-xml (mk-page (loop for match in (apropos-list (search-string (u^ xh-driver))) when (or (exportedp match) (not (exported-only (u^ xh-driver)))) collect [xml for this symbol]))) Then (just typed in, polish required): (defun test-xh () (let ((d (make-instance 'xh-driver :search-string "prog" ;; no changes intended :exported-only (c-in nil)))) ;; changes intended (with-oa-updates-to-stream t ;; or "test.txt" (loop repeat 2 do (setf (exported-only d) (not (exported-only d)))))) with-oa-updates-to-stream is left as an exercise. It needs OA to always work by writing to some stream (*browser*? *xml-updates*?) and then you just bind that to t or some *sys-something* or an open file stream. I toggled both ways to test both /starting/ with nil and /changing/ to nil.
In short, I'm still plugging away at this but I might be further away from producing something useful than it has seemed so far. Sorry if I've got people's hopes up. Its just the typical time estimates of an inexperienced programmer.
# Crystal structures, kept here for reference
+++
Below is a relaxed Zr3NiF6 crystal, with properties calculated at the GGA+U level.

Unit cell a=5.8656 b=7.5042 c=10.9394 alpha=84.59 beta=86.39 gamma=112.34
Element x y z (fractional)
Zr: 0.0000 0.5000 0.0000
F: 0.3518 0.2088 0.0034
F: 0.6482 0.7912 0.9966
F: 0.9234 0.9617 0.6800
F: 0.0766 0.0383 0.3200
F: 0.8916 0.2258 0.9578
Zr: 0.5000 0.5000 0.0000
Ni: 0.0000 0.0000 0.0000
F: 0.1084 0.7742 0.0422
Zr: 0.0000 0.0000 0.5000

## Properties
VASP energy   -55.52 eV/cell
Calculated volume   440.8 Å³ per cell

~~~~~

No. 1
## Sr2NdNbO6 (PBE)

Data for Sr2NdNbO6 after structural relaxation.

Lattice parameters (Å, degrees): 8.523 8.523 8.523 90.00 90.00 90.00
Element x y z (fractional)
O  0.287  0.203  0.981
O  0.213  0.297  0.519
O  0.797  0.981  0.713
O  0.713  0.797  0.981
O  0.019  0.713  0.203
O  0.797  0.019  0.287
O  0.481  0.213  0.703
O  0.787  0.297  0.481
O  0.703  0.481  0.213
O  0.981  0.713  0.797
O  0.203  0.019  0.713
O  0.713  0.203  0.019
O  0.203  0.981  0.287
O  0.981  0.287  0.203
O  0.213  0.703  0.481
O  0.297  0.519  0.213
O  0.481  0.787  0.297
O  0.019  0.287  0.797
O  0.519  0.787  0.703
O  0.787  0.703  0.519
O  0.519  0.213  0.297
O  0.287  0.797  0.019
O  0.703  0.519  0.787
O  0.297  0.481  0.787
Nb  0.250  0.750  0.250
Nb  0.750  0.750  0.750
Nb  0.250  0.250  0.750
Nb  0.750  0.250  0.250
Sr  0.500  0.500  0.500
Sr  0.500  0.000  0.500
Sr  0.000  0.000  0.500
Sr  0.500  0.000  0.000
Sr  0.000  0.000  0.000
Sr  0.000  0.500  0.000
Sr  0.500  0.500  0.000
Sr  0.000  0.500  0.500
Nd  0.750  0.250  0.750
Nd  0.250  0.250  0.250
Nd  0.250  0.750  0.750
Nd  0.750  0.750  0.250

Space group: Pn-3
ΔE_f, eV/atom: -3.357

No. 2
## Mg149Cl (PBE)

Data for Mg149Cl after structural relaxation.

Lattice parameters (Å, degrees): 15.914 15.914 15.613 90.00 90.00 120.00
Element x y z (fractional)
Mg  0.067  0.333  0.833
Mg  0.067  0.933  0.168
Mg  0.867  0.533  0.500
Mg  0.667  0.133  0.834
Mg  0.467  0.533  0.500
Mg  0.200  0.400  0.667
Mg  0.800  0.000  0.334
Mg  0.466  0.333  0.166
Mg  0.267  0.533  0.834
Mg  0.867  0.534  0.166
Mg  0.867  0.133  0.167
Mg  0.000  0.000  0.668
Mg  0.000  0.000  0.332
Mg  0.400  0.400  0.333
Mg  0.267  0.134  0.500
Mg  0.067  0.534  0.167
Mg  0.200  0.800  0.000
Mg  0.067  0.734  0.167
Mg  0.000  0.400  0.333
Mg  0.267  0.933  0.500
Mg  0.866  0.733  0.500
Mg  0.867  0.933  0.500
Mg  0.600  0.201  0.000
Mg  0.400  0.800  0.333
Mg  0.267  0.533  0.500
Mg  0.201  0.600  0.000
Mg  0.467  0.733  0.166
Mg  0.800  0.600  0.000
Mg  0.400  0.800  0.667
Mg  0.000  0.800  0.334
Mg  0.866  0.933  0.832
Mg  0.067  0.334  0.500
Mg  0.400  0.200  0.667
Mg  0.067  0.734  0.833
Mg  0.466  0.933  0.167
Mg  0.667  0.333  0.834
Mg  0.667  0.333  0.500
Mg  0.800  0.400  0.667
Mg  0.800  0.600  0.667
Mg  0.200  0.400  0.333
Mg  0.600  0.400  0.000
Mg  0.266  0.933  0.167
Mg  0.800  0.800  0.666
Mg  0.200  0.200  0.666
Mg  0.266  0.133  0.167
Mg  0.999  0.797  0.000
Mg  0.800  0.000  0.666
Mg  0.266  0.333  0.833
+++
# Back to the piece
haha, I think you are closer than you realize. Just send up flares early and often.
I'm going to go back to celtk and try to understand the way it does things a bit better and see if there's anything fundamental I've missed. I should maybe code the apropos thing in celtk to check how the user code should look and make similar sort of code work for the web.
== Unrelated to this entry: data records ==
┌──
No. 1
The following is a GGA+U calculation of crystalline Ba6MgCo2Sb4O18 at its relaxed geometry, from the Materials Project.

a = 5.9529 Å, b = 5.9267 Å, c = 16.0384 Å
α = 95.32°, β = 85.11°, γ = 119.49°
Fractional coordinates of all 31 atoms:
Ba (0.3575, 0.6248, 0.5904)
Co (0.9867, 0.0081, 0.9884)
O (0.6244, 0.8567, 0.0533)
Ba (0.0203, 0.9748, 0.7549)
Ba (0.3358, 0.6642, 0.9054)
O (0.9256, 0.6407, 0.2875)
O (0.6706, 0.7478, 0.4487)
O (0.8585, 0.1722, 0.9055)
O (0.4420, 0.5771, 0.2131)
O (0.5254, 0.4450, 0.7667)
Sb (0.6901, 0.2967, 0.6710)
O (0.1044, 0.8429, 0.0791)
O (0.2674, 0.2041, 0.3667)
Ba (0.6453, 0.3745, 0.0691)
O (0.8547, 0.6245, 0.6154)
Ba (0.7400, 0.2596, 0.4595)
Sb (0.6809, 0.3201, 0.8508)
Co (0.9588, 0.8851, 0.5232)
Sb (0.3266, 0.7331, 0.1319)
O (0.1480, 0.7332, 0.4601)
Mg (0.5605, 0.5604, 0.3335)
O (0.5396, 0.0078, 0.7581)
O (0.1185, 0.3810, 0.0783)
Sb (0.2595, 0.8612, 0.3424)
O (0.8830, 0.1466, 0.5986)
O (0.3889, 0.1313, 0.6021)
O (0.3602, 0.1695, 0.9227)
O (0.4435, 0.0506, 0.2052)
Ba (0.9801, 0.0922, 0.2117)
O (0.9765, 0.4520, 0.7570)
O (0.8478, 0.6620, 0.9110)

Calculated values
Its space group is P1. The volume is 490 Å³ per cell. The calculation puts the energy above the most stable polymorph in this dataset at 0 meV/atom. As for the total moment: 6.000 μB/f.u. As for the formation energy: -2.356 eV/atom.



No. 2
The following is a GGA+U calculation of crystalline La2Mo2O9 at its relaxed geometry, from the Materials Project.

a = 7.2710 Å, b = 7.2896 Å, c = 7.3494 Å
α = 89.47°, β = 88.35°, γ = 87.76°
Fractional coordinates of all 26 atoms:
O (0.3926, 0.5126, 0.6652)
O (0.3234, 0.7242, 0.3157)
O (0.4530, 0.0756, 0.4629)
O (0.1326, 0.0561, 0.2050)
O (0.7044, 0.9849, 0.1807)
Mo (0.3307, 0.3231, 0.8044)
O (0.3968, 0.7722, 0.9748)
O (0.1494, 0.2100, 0.6890)
La (0.3314, 0.8476, 0.6579)
O (0.5191, 0.1651, 0.8416)
O (0.8203, 0.3284, 0.1812)
O (0.7857, 0.4735, 0.8247)
O (0.2376, 0.4010, 0.0180)
O (0.6784, 0.6656, 0.4851)
O (0.7238, 0.8553, 0.8036)
O (0.4883, 0.3801, 0.2927)
La (0.6440, 0.6392, 0.1583)
Mo (0.6569, 0.1743, 0.3431)
O (0.0795, 0.8872, 0.8827)
O (0.9954, 0.6670, 0.1801)
O (0.0546, 0.6543, 0.5790)
La (0.1663, 0.3889, 0.3382)
La (0.8563, 0.1426, 0.9081)
Mo (0.8232, 0.6663, 0.6759)
Mo (0.1805, 0.8262, 0.1235)
O (0.8129, 0.1734, 0.5264)

Calculated values
Its space group is P1. The volume is 389 Å³ per cell. As for the total moment: 0.000 μB/f.u. As for the formation energy: -2.793 eV/atom.



No. 3
The following is a GGA+U calculation of crystalline Fe3P3PbO13 at its relaxed geometry, from the Materials Project.

a = 6.4517 Å, b = 7.7065 Å, c = 10.5678 Å
α = 80.36°, β = 90.00°, γ = 90.00°
Fractional coordinates of all 40 atoms:
P (0.2500, 0.8122, 0.6169)
O (0.2500, 0.0057, 0.5459)
O (0.7500, 0.8417, 0.1183)
O (0.2500, 0.3789, 0.5878)
Fe (0.7500, 0.8473, 0.3026)
O (0.5540, 0.2900, 0.4121)
O (0.7500, 0.5230, 0.0896)
O (0.7500, 0.4222, 0.6353)
Fe (0.0000, 0.5000, 0.5000)
O (0.9388, 0.1338, 0.7119)
O (0.2500, 0.1583, 0.8817)
└──
Here's a quick question. If you want to make the kids of a mk-stack dependant on some other field in celtk, do you have to explicitly (make-instance 'stack :kids (c? ...) or should you still be able to use (mk-stack () ...)
mk-stack by default wraps what follows in a recalculating rule: (defmacro def-mk-inline (name (unlabelled labelled)) `(defmacro ,name ((&rest initargs) &rest kids) (if (evenp (length initargs)) `(make-instance ',',unlabelled :fm-parent *parent* ,@initargs :kids (c? (the-kids ,@kids))) `(make-instance ',',labelled :fm-parent *parent* :text ,(car initargs) ,@(cdr initargs) :kids (c? (the-kids ,@kids)))))) (def-mk-inline mk-row (frame-row labelframe-row)) (def-mk-inline mk-stack (frame-stack labelframe-stack)) kt